# Excerpt
(1)
8 unconnected molecules or ions with the total composition C27H54O11. Source: OMol25; level of theory: ωB97M-V/def2-TZVPD.

The geometry in XYZ format:
```
92
Properties=species:S:1:pos:R:3:forces:R:3
C 21.2790 26.3380 44.4270 2.534 -3.929 -2.044
C 19.8450 26.4700 44.8290 -0.353 1.592 1.346
O 19.9630 26.6980 46.2910 0.303 -0.216 0.566
C 18.9200 26.9750 47.0850 -0.115 -1.292 -0.530
C 19.2290 27.1570 48.5940 5.766 0.643 -4.252
O 17.8040 27.0330 46.6240 -0.426 0.297 0.261
H 22.1100 26.8930 44.9080 -1.293 0.685 -0.492
H 21.2760 26.3410 43.3150 0.340 1.004 0.468
H 21.8300 25.2740 44.4620 -1.893 1.481 0.710
H 19.4970 27.4540 44.3840 -0.120 -1.297 0.490
H 19.1190 25.6300 44.6040 1.079 0.975 0.267
H 18.5560 26.6140 49.1220 -1.427 -1.982 1.910
H 18.9460 28.1650 48.6230 0.063 1.798 1.060
H 20.5190 27.0380 48.7060 -4.317 0.174 0.263
C 23.6030 30.5840 52.5040 -2.973 1.612 2.886
C 22.6360 30.4200 51.3900 -5.563 -4.817 6.175
O 21.3470 31.0670 51.7090 2.460 1.614 2.142
C 20.2280 30.7500 51.1550 0.239 1.828 0.184
C 19.1360 31.6270 51.4290 2.014 3.615 3.106
O 20.0960 29.8700 50.4210 -0.184 -5.556 -4.126
H 23.8580 31.6480 52.6790 0.612 -0.781 -0.523
H 24.2760 29.8820 52.2190 3.321 -1.378 -0.344
H 23.2310 30.2400 53.5830 0.219 0.461 -2.552
H 22.7800 30.6760 50.4990 2.542 3.024 -7.166
H 22.3020 29.3200 51.1630 0.947 1.379 1.035
H 19.1070 31.5090 52.5610 -1.150 0.941 -1.287
H 18.3320 31.5820 50.7950 -2.279 -1.223 -0.820
H 19.5070 32.6510 51.1070 -0.204 -0.718 1.193
C 22.0340 23.5040 41.3170 1.625 1.137 0.881
C 23.4550 23.9090 41.9830 -2.540 -1.478 -2.522
O 23.4830 23.4820 43.2850 1.768 -1.474 2.117
C 24.6850 23.6360 43.9380 0.095 0.769 -0.074
C 24.6070 23.0030 45.3180 2.002 2.041 1.259
O 25.6880 24.2130 43.4930 -2.874 -1.630 0.782
H 22.1390 23.9380 40.3160 -0.764 0.266 0.192
H 21.0770 23.7370 41.8830 1.450 0.163 -0.768
H 22.0600 22.4600 41.1390 -0.105 -1.228 0.038
H 24.2690 23.5270 41.3220 -0.433 0.185 0.770
H 23.5000 24.9260 42.0960 0.352 2.863 -0.765
H 23.9510 23.4310 46.1500 1.165 1.164 -1.305
H 25.7290 23.0280 45.5520 -1.832 -0.553 0.575
H 24.0920 22.1040 45.4810 0.042 -2.185 -1.135
C 23.4620 26.8310 47.6290 4.653 0.880 -0.926
C 23.5510 28.0810 46.7490 1.888 3.223 -0.343
C 22.4690 29.1280 47.0930 -1.028 2.201 -1.989
O 24.4910 28.4070 45.9660 -3.155 -1.954 2.473
H 24.4770 26.2280 47.2210 -2.884 1.096 1.983
H 22.5850 26.3620 47.4110 -2.378 -1.914 -1.154
H 23.2630 27.0990 48.7230 1.296 -0.239 -1.337
H 21.8550 28.9280 47.9600 0.750 0.191 1.154
H 21.5880 29.0510 46.4350 0.448 -0.536 -0.858
H 22.6440 30.3050 46.8580 0.359 -2.938 1.027
C 18.1500 30.3270 45.2210 2.354 -4.750 0.533
C 19.2900 31.2070 45.4030 3.132 1.927 -2.372
C 19.0340 32.6180 46.0710 -4.619 -5.699 1.454
O 20.3490 30.9720 44.7490 -2.614 0.922 2.679
H 17.4560 30.9620 44.7970 -2.467 0.647 -0.472
H 17.9530 29.6060 46.0900 -0.571 1.660 -0.844
H 18.5600 29.5590 44.4780 -0.994 1.103 0.517
H 17.9370 32.8020 46.4540 2.433 -0.900 -0.065
H 19.1280 33.3200 45.4230 1.084 4.334 -4.741
H 19.7980 32.6830 46.7140 2.344 0.719 3.163
C 17.1330 24.0850 43.2340 -0.053 2.407 -1.982
C 17.6250 22.9390 42.3390 0.670 1.933 -2.073
C 16.6880 21.7290 42.1120 3.006 0.113 5.694
O 18.6740 23.0610 41.6600 -2.775 -0.640 2.207
H 17.4720 23.9990 44.2370 0.164 -0.406 1.080
H 15.9840 24.1480 43.2360 1.815 -0.023 -0.045
H 17.6440 25.1420 42.8670 -1.515 -2.760 0.679
H 16.1850 21.7520 41.2540 -2.609 0.610 -3.217
H 16.1060 21.4030 43.0970 1.182 0.668 -2.416
H 17.5440 21.1330 41.8810 0.022 -1.912 0.113
C 16.9590 30.2960 48.8240 1.184 1.249 9.146
C 16.3080 31.6380 48.8450 5.368 5.105 -0.337
C 14.8100 31.7260 48.9170 3.859 -0.956 7.056
O 17.1990 32.7140 48.6260 -6.178 -5.940 1.477
H 16.9630 29.5260 49.8340 -0.118 2.337 -3.468
H 17.8170 30.5470 48.3300 4.014 0.357 0.581
H 16.6300 30.0710 47.9850 -4.727 -4.442 -7.292
H 14.6750 32.6900 48.7540 -1.605 4.469 -0.443
H 14.5900 31.4350 50.1750 0.197 0.686 -4.008
H 14.4030 31.1530 48.2200 -2.121 -2.934 -2.527
C 20.2600 22.3590 45.4430 0.425 -1.301 -2.216

# Work order
What is needed: retype only the last part of the contents further up, starting with the line that has "1.828 0.184".

# Here it is
C 20.2280 30.7500 51.1550 0.239 1.828 0.184
C 19.1360 31.6270 51.4290 2.014 3.615 3.106
O 20.0960 29.8700 50.4210 -0.184 -5.556 -4.126
H 23.8580 31.6480 52.6790 0.612 -0.781 -0.523
H 24.2760 29.8820 52.2190 3.321 -1.378 -0.344
H 23.2310 30.2400 53.5830 0.219 0.461 -2.552
H 22.7800 30.6760 50.4990 2.542 3.024 -7.166
H 22.3020 29.3200 51.1630 0.947 1.379 1.035
H 19.1070 31.5090 52.5610 -1.150 0.941 -1.287
H 18.3320 31.5820 50.7950 -2.279 -1.223 -0.820
H 19.5070 32.6510 51.1070 -0.204 -0.718 1.193
C 22.0340 23.5040 41.3170 1.625 1.137 0.881
C 23.4550 23.9090 41.9830 -2.540 -1.478 -2.522
O 23.4830 23.4820 43.2850 1.768 -1.474 2.117
C 24.6850 23.6360 43.9380 0.095 0.769 -0.074
C 24.6070 23.0030 45.3180 2.002 2.041 1.259
O 25.6880 24.2130 43.4930 -2.874 -1.630 0.782
H 22.1390 23.9380 40.3160 -0.764 0.266 0.192
H 21.0770 23.7370 41.8830 1.450 0.163 -0.768
H 22.0600 22.4600 41.1390 -0.105 -1.228 0.038
H 24.2690 23.5270 41.3220 -0.433 0.185 0.770
H 23.5000 24.9260 42.0960 0.352 2.863 -0.765
H 23.9510 23.4310 46.1500 1.165 1.164 -1.305
H 25.7290 23.0280 45.5520 -1.832 -0.553 0.575
H 24.0920 22.1040 45.4810 0.042 -2.185 -1.135
C 23.4620 26.8310 47.6290 4.653 0.880 -0.926
C 23.5510 28.0810 46.7490 1.888 3.223 -0.343
C 22.4690 29.1280 47.0930 -1.028 2.201 -1.989
O 24.4910 28.4070 45.9660 -3.155 -1.954 2.473
H 24.4770 26.2280 47.2210 -2.884 1.096 1.983
H 22.5850 26.3620 47.4110 -2.378 -1.914 -1.154
H 23.2630 27.0990 48.7230 1.296 -0.239 -1.337
H 21.8550 28.9280 47.9600 0.750 0.191 1.154
H 21.5880 29.0510 46.4350 0.448 -0.536 -0.858
H 22.6440 30.3050 46.8580 0.359 -2.938 1.027
C 18.1500 30.3270 45.2210 2.354 -4.750 0.533
C 19.2900 31.2070 45.4030 3.132 1.927 -2.372
C 19.0340 32.6180 46.0710 -4.619 -5.699 1.454
O 20.3490 30.9720 44.7490 -2.614 0.922 2.679
H 17.4560 30.9620 44.7970 -2.467 0.647 -0.472
H 17.9530 29.6060 46.0900 -0.571 1.660 -0.844
H 18.5600 29.5590 44.4780 -0.994 1.103 0.517
H 17.9370 32.8020 46.4540 2.433 -0.900 -0.065
H 19.1280 33.3200 45.4230 1.084 4.334 -4.741
H 19.7980 32.6830 46.7140 2.344 0.719 3.163
C 17.1330 24.0850 43.2340 -0.053 2.407 -1.982
C 17.6250 22.9390 42.3390 0.670 1.933 -2.073
C 16.6880 21.7290 42.1120 3.006 0.113 5.694
O 18.6740 23.0610 41.6600 -2.775 -0.640 2.207
H 17.4720 23.9990 44.2370 0.164 -0.406 1.080
H 15.9840 24.1480 43.2360 1.815 -0.023 -0.045
H 17.6440 25.1420 42.8670 -1.515 -2.760 0.679
H 16.1850 21.7520 41.2540 -2.609 0.610 -3.217
H 16.1060 21.4030 43.0970 1.182 0.668 -2.416
H 17.5440 21.1330 41.8810 0.022 -1.912 0.113
C 16.9590 30.2960 48.8240 1.184 1.249 9.146
C 16.3080 31.6380 48.8450 5.368 5.105 -0.337
C 14.8100 31.7260 48.9170 3.859 -0.956 7.056
O 17.1990 32.7140 48.6260 -6.178 -5.940 1.477
H 16.9630 29.5260 49.8340 -0.118 2.337 -3.468
H 17.8170 30.5470 48.3300 4.014 0.357 0.581
H 16.6300 30.0710 47.9850 -4.727 -4.442 -7.292
H 14.6750 32.6900 48.7540 -1.605 4.469 -0.443
H 14.5900 31.4350 50.1750 0.197 0.686 -4.008
H 14.4030 31.1530 48.2200 -2.121 -2.934 -2.527
C 20.2600 22.3590 45.4430 0.425 -1.301 -2.216